Android Window Manager: Emulate Device Dimensions with Ease

The Challenge

- - -
The following is a DFT calculation (ωB97M-V/def2-TZVPD) of a molecular structure, C24H15Br2FeN4OSe2Te2 at a distorted geometry.

```
! wB97M-V def2-TZVPD RIJCOSX def2/J DEFGRID3
* xyz 0 6
Fe 0.078 -0.145 0.499
C -2.742 -3.636 -0.298
C -3.344 -3.243 -1.481
C -3.243 -1.922 -1.884
C -2.519 -1.043 -1.093
N -1.893 -1.428 0.017
C -2.022 -2.692 0.415
C -2.383 0.419 -1.420
C -3.032 1.016 -2.486
C -2.816 2.365 -2.709
C -1.979 3.068 -1.863
C -1.388 2.388 -0.810
N -1.593 1.098 -0.602
C -0.478 3.046 0.187
C -0.322 4.421 0.239
C 0.488 4.966 1.221
C 1.093 4.121 2.131
C 0.882 2.758 2.009
N 0.128 2.223 1.045
H -2.806 -4.652 0.064
H -3.891 -3.954 -2.086
H -3.708 -1.592 -2.801
H -1.502 -2.945 1.332
H -3.683 0.449 -3.134
H -3.290 2.861 -3.546
H -1.778 4.114 -2.039
H -0.834 5.064 -0.462
H 0.627 6.038 1.281
H 1.719 4.497 2.928
H 1.313 2.057 2.712
Se 3.992 -1.922 1.145
Te 4.027 -3.100 3.239
Te 0.563 -0.961 2.963
Se 2.463 -0.089 1.521
Br 0.519 1.270 -4.395
C 0.671 -0.469 -3.676
C 0.774 -1.550 -4.580
C 0.925 -2.828 -4.140
Br 1.086 -4.238 -5.392
C 0.968 -3.094 -2.744
C 1.156 -4.375 -2.170
C 1.177 -4.515 -0.816
C 0.963 -3.378 -0.008
N 0.782 -2.185 -0.507
C 0.826 -2.014 -1.857
C 0.718 -0.632 -2.298
O 0.677 0.302 -1.428
H 0.744 -1.347 -5.642
H 1.294 -5.229 -2.819
H 1.341 -5.481 -0.356
H 0.922 -3.459 1.075
*
```

LUMO energy (alpha / beta) = -0.366 / -1.570 eV
Gap between HOMO and LUMO (alpha / beta) = 6.61 / 5.49 eV
Total energy = -12968.60205 a.u.
⟨S²⟩ = 8.780

Atomic partial charges in e from the natural (NBO) method, atoms 1 to 4:
1. Fe 1.2317
2. C -0.2521
3. C -0.1446
4. C -0.2263

The following is a DFT calculation (ωB97M-V/def2-TZVPD) of 2 unconnected molecules or ions with the total composition C21H19NO3S at a distorted geometry.

```
! wB97M-V def2-TZVPD RIJCOSX def2/J DEFGRID3
* xyz 0 1
C -2.324 4.678 2.218
O -1.876 3.558 3.024
C -0.942 2.697 2.534
C -0.679 1.544 3.315
C 0.084 0.524 2.807
C 0.706 0.633 1.534
C 1.470 -0.456 0.990
C 2.514 -0.359 -0.009
C 2.793 -1.687 -0.492
C 3.621 -1.890 -1.588
C 4.228 -0.777 -2.185
C 3.972 0.521 -1.709
C 3.146 0.733 -0.598
C 1.934 -2.617 0.225
C 1.114 -1.855 1.134
C 0.065 -2.493 1.794
C -0.119 -3.871 1.624
C 0.708 -4.610 0.760
C 1.725 -3.975 0.030
C 0.485 1.814 0.787
C -0.263 2.866 1.295
H -3.071 5.147 2.858
H -1.501 5.377 2.019
H -2.781 4.344 1.275
H -1.142 1.476 4.301
H 0.201 -0.392 3.385
H 3.774 -2.908 -1.951
H 4.913 -0.920 -3.022
H 4.406 1.377 -2.221
H 2.958 1.727 -0.204
H -0.620 -1.913 2.400
H -0.924 -4.371 2.159
H 0.567 -5.688 0.664
H 2.373 -4.514 -0.667
H 0.848 1.868 -0.237
H -0.355 3.802 0.741
C 5.499 -0.833 5.060
S 4.662 -1.149 3.498
N 3.601 0.021 3.553
O 5.676 -0.948 2.459
O 4.082 -2.495 3.570
H 6.294 -1.577 5.179
H 5.936 0.168 5.027
H 4.777 -0.911 5.877
H 2.830 -0.179 2.908
*
```

LUMO energy = -3.014 eV
Energy relative to the best compared isomer or geometry (same formula, charge and spin) = 111.09 kcal per mole
Gap between HOMO and LUMO = 3.55 eV
Total energy = -1490.16018 a.u.
- - -
The piece goes on:

Often times you might encounter production issues where certain parts of your app’s UI appear cropped, missing “Call to Action” (CTA), or are not aligned correctly, but this only happens on specific devices.

This is just one of the side-effects of Android’s Fragmentation when it comes to UI/UX.


To tackle this issue, we’ll need to replicate that certain device dimension, we have a few methods at our disposal: Emulators, Android Studio Layout Validation, and ADB Shell (please do mention if I’ve missed others 🧐).


All device screens are a combination of resolution and density.

Device Resolution — indicates the number of pixels on the screen
ex — 1080 x 2400, means the screen has a resolution of 1080 pixels in the horizontal direction (width) and 2400 pixels in the vertical direction (height).

Device Density — refers to the number of pixels within a physical area of the screen (Dots Per Inch aka DPI)
ex — 320dpi, means there are 320 pixels packed into each linear inch of the display.

The higher the DPI, the more dots can be placed in that inch, leading to finer detail and potentially higher quality.


Firing up the emulator with required resolution and density works but here are some of the drawbacks to it.

  • cannot specify the exact device density, you’ll have to use the ones closest to it (more info)

  • even in 2023, starting emulators is high friction.

  • your QA folks might not have access to emulators to re-produce the issue for you.

Android Studio Layout Validation

This is a powerful tool from Android Studio to visualise how your layout looks across:

  • custom device sizes (small/large phones, tablet, foldables etc)

  • preview layout in different languages if supported by your app.

  • preview fonts across devices.

  • accessibility validations.

Debug your layout with Layout Inspector and Layout Validation | Android Studio | Android Developers

However, all of this happens at compile time and chances are:

  • AS may not be able to render your XML preview, this happens all the time with medium-high complex UI layout.

  • There might be views being added at runtime.

  • Also, never trust previews and always verify on device.

ADB Shell Window Manager

Android Debug Bridge (ADB) has a neat little utility called the Window Manger which gets to decide how your device looks in terms of resolution and density in addition to manipulating them as needed.


  • A test device connected to your machine with ADB enabled.

  • Device mirroring tool — scrcpy or vysor

Scenario #1 — User reports CTA being cropped on their Samsung S23 Ultra.

  • Get Resolution and Density for the device from GSMAreana or others, which is — Resolution 1440 x 3088, ~500 Density.

  • Run the ADB commands below and start device mirroring tool to see the results.

  • Repeat for other device dimensions issues.

Notice the subtle difference in icon spacing between the two device previews

Scenario #2 — User reports UI being cropped on their Google Pixel Tablet.

  • Get Resolution and Density for the device from GSMAreana or others, which is — Resolution 1600 x 2560, ~276 Density.

  • Run the ADB commands below and start device mirroring tool to see the results.

Reset to default

Reset to default

### What comes next are molecular data, not part of the article
- - -
Entry 1:
This record from OMol25 describes a structure of composition C21H31OV in a non-equilibrium geometry. The level of theory is ωB97M-V/def2-TZVPD.

Calculated values
⟨S²⟩	0.781
net charge	+1
calculated total energy	-1837.7711	hartree
largest force on an atom	6.3	eV/A
HOMO energy (alpha / beta)	-0.415 / -0.389	Eh
Kohn-Sham gap (alpha / beta)	0.2841 / 0.2661	Eh
spin multiplicity	2

CARTESIAN COORDINATES (ANGSTROEM)
C (-1.60, -0.51, 1.55)
C (-2.03, -1.21, 0.38)
C (-2.45, -0.24, -0.60)
C (-2.32, 1.07, 0.00)
C (-1.78, 0.89, 1.32)
V (-0.44, 0.11, -0.10)
C (0.99, 1.04, -2.74)
C (1.37, 1.21, -1.27)
H (2.38, 0.81, -1.05)
C (0.76, 2.10, -0.37)
H (0.11, 2.91, -0.71)
H (1.22, 2.26, 0.62)
C (2.22, 1.31, -3.64)
H (3.00, 0.56, -3.46)
H (1.94, 1.26, -4.70)
H (2.63, 2.30, -3.43)
C (-0.10, 2.03, -3.17)
H (-1.04, 1.87, -2.62)
H (0.23, 3.06, -2.98)
H (-0.32, 1.93, -4.24)
C (-2.16, -2.68, 0.27)
H (-1.27, -3.17, 0.69)
H (-3.03, -3.05, 0.83)
H (-2.28, -2.99, -0.77)
C (-2.97, -0.54, -1.96)
H (-2.47, -1.43, -2.35)
H (-4.05, -0.74, -1.97)
H (-2.77, 0.28, -2.64)
C (-2.75, 2.36, -0.58)
H (-2.87, 2.28, -1.67)
H (-3.71, 2.71, -0.17)
H (-2.01, 3.14, -0.37)
C (-1.50, 1.96, 2.32)
H (-1.27, 2.91, 1.82)
H (-2.36, 2.12, 2.98)
H (-0.64, 1.68, 2.95)
C (-1.25, -1.15, 2.85)
H (-0.64, -0.47, 3.47)
H (-2.17, -1.37, 3.41)
H (-0.71, -2.09, 2.70)
C (0.66, -1.38, -1.98)
C (0.55, -0.41, -2.99)
C (0.17, -2.69, -2.20)
C (0.01, -0.77, -4.24)
H (1.16, -1.15, -1.01)
C (-0.37, -3.02, -3.44)
H (0.22, -3.40, -1.39)
C (-0.45, -2.06, -4.46)
H (-0.06, -0.01, -5.03)
H (-0.74, -4.03, -3.62)
H (-0.87, -2.32, -5.43)
O (1.74, -0.72, 1.49)
H (2.60, -0.47, 1.11)
H (1.66, -0.11, 2.26)

Entry 2:
This record from OMol25 describes a structure of composition C21H32BMoN8. The level of theory is ωB97M-V/def2-TZVPD.

Calculated values
⟨S²⟩	2.015
net charge	+3
calculated total energy	-1349.6094	hartree
largest force on an atom	0.8	eV/A
energy relative to the best compared isomer or geometry (same formula, charge and spin)	0.2617	eV
HOMO energy (alpha / beta)	-0.677 / -0.677	Eh
Kohn-Sham gap (alpha / beta)	0.2456 / 0.2629	Eh
spin multiplicity	3

CARTESIAN COORDINATES (ANGSTROEM)
Mo (0.19, 0.13, 0.17)
C (-4.69, -0.02, -1.94)
C (-3.33, -0.28, -1.30)
C (-2.94, -1.75, -1.48)
C (-2.26, 0.59, -1.90)
C (-2.35, 1.24, -3.11)
C (-1.08, 1.73, -3.39)
N (-0.27, 1.42, -2.38)
N (-0.98, 0.74, -1.41)
B (1.24, 1.49, -2.28)
N (1.77, 0.01, -2.16)
C (2.77, -0.60, -2.78)
C (3.06, -1.81, -2.12)
C (2.21, -1.88, -1.05)
N (1.40, -0.76, -1.08)
C (2.02, -2.86, 0.06)
C (0.78, -3.72, -0.18)
C (1.96, -2.15, 1.40)
N (1.61, 2.25, -0.96)
C (2.40, 3.30, -0.82)
C (2.62, 3.55, 0.53)
C (1.96, 2.57, 1.22)
N (1.29, 1.77, 0.30)
C (1.92, 2.26, 2.68)
C (3.27, 1.67, 3.12)
C (0.77, 1.33, 3.03)
H (-5.45, -0.63, -1.45)
H (-4.69, -0.30, -3.00)
H (-5.00, 1.02, -1.85)
H (-3.42, -0.05, -0.24)
H (-2.92, -2.02, -2.54)
H (-3.67, -2.40, -0.99)
H (-1.94, -1.98, -1.07)
H (-3.22, 1.32, -3.74)
H (-0.71, 2.26, -4.25)
H (1.73, 2.04, -3.21)
H (3.24, -0.16, -3.64)
- - -
### Here the article continues

# reset the resolution
adb shell wm size reset

# reset the density
adb shell wm density reset

# run device mirroring


Although, all the other approaches have their place in particular use-cases but ADB Window Manager allows you to quickly resolve UI related device specific issues only using a single device.